[Input]
This record from the OMol25 dataset describes a single C11H22N2O3 molecule. The level of theory is ωB97M-V/def2-TZVPD.

The geometry in XYZ format:
```
38
Properties=species:S:1:pos:R:3:forces:R:3:nbo_charge:R:1
C -1.867485 -3.614128 -0.952377 0.3 -0.9 0.8 -0.618
C -0.719408 -2.612232 -0.903201 -0.2 0.2 -0.8 -0.221
C 0.690112 -3.231958 -1.167768 -0.7 0.3 0.2 -0.601
C -0.804610 -1.829869 0.405185 0.0 1.0 1.3 -0.414
C -1.238985 -0.299338 0.191511 -0.4 -1.3 -0.8 -0.151
N -1.013928 0.529053 1.289674 0.9 1.5 2.5 -0.652
C 0.228917 1.013743 1.726471 -1.0 -0.6 2.1 0.682
O 0.314300 1.321666 2.931629 0.2 -0.2 -2.0 -0.635
C 1.454703 1.244664 0.790179 -1.9 2.5 1.7 -0.133
N 1.615760 0.317113 -0.256262 0.3 -0.6 -1.3 -0.867
C 1.187867 2.820799 0.324047 1.0 -2.3 -0.2 -0.201
C 1.308805 3.802506 1.471122 0.1 -0.7 2.8 -0.640
C 2.069463 3.122153 -0.943904 -1.2 0.9 1.1 -0.625
C -2.799138 -0.214139 -0.066454 1.6 1.5 -0.1 0.788
O -3.535820 0.527618 0.524965 0.3 -0.5 0.4 -0.568
O -3.252371 -0.900489 -1.087215 -1.2 -0.6 -1.0 -0.671
H -1.833128 -4.191979 -0.011625 -0.1 0.1 -0.3 0.209
H -2.839476 -3.135827 -0.982811 -0.1 -0.1 0.1 0.213
H -1.827979 -4.346435 -1.747078 0.2 0.0 -0.5 0.213
H -0.928617 -1.839785 -1.694722 0.7 -0.7 0.2 0.160
H 1.434122 -2.444783 -1.007864 0.0 -0.3 0.2 0.209
H 0.809994 -3.567767 -2.199152 -0.2 0.0 0.0 0.213
H 0.889508 -4.113029 -0.526061 -0.1 0.6 -0.1 0.213
H 0.167103 -1.878272 0.952068 -0.6 0.4 -0.5 0.226
H -1.530654 -2.241724 1.154838 0.4 0.0 -0.8 0.212
H -0.613926 0.126950 -0.622891 -0.9 -0.6 -0.1 0.237
H -1.770240 0.633628 2.011299 1.2 -0.3 -1.0 0.431
H 2.248926 1.260469 1.534648 0.4 0.0 -0.3 0.213
H 1.624786 0.770795 -1.166190 0.3 -0.4 0.2 0.377
H 2.392435 -0.333925 -0.149542 -0.3 0.5 -0.1 0.384
H 0.152581 2.848207 0.055436 -0.7 0.0 -0.7 0.202
H 0.505645 3.774230 2.297060 0.8 -0.9 -1.5 0.245
H 1.070880 4.786593 1.087690 1.1 0.6 -0.1 0.218
H 2.252419 3.576883 2.120534 -1.2 1.2 -1.5 0.220
H 1.615226 2.737762 -1.847834 -0.1 -0.3 -0.2 0.201
H 2.056450 4.212009 -1.084735 0.3 -0.2 0.0 0.223
H 3.082025 2.757433 -0.863181 0.3 0.0 0.1 0.212
H -2.596263 -1.388594 -1.587488 0.4 0.0 0.1 0.496
```
Forces are in eV/Å.

- Energy relative to the best compared isomer or geometry (same formula, charge and spin): 58.38 kcal/mol
- Multiplicity: 1
- SMILES: CC(C)C[C@H](NC(=O)[C@@H](N)C(C)C)C(=O)O
- Max |F|: 0.06979 hartree/bohr
- HOMO-LUMO gap: 9.59 eV
[Wanted]
Now filter the notes earlier on: keep the lines with the word "This".
[Written answer]
This record from the OMol25 dataset describes a single C11H22N2O3 molecule. The level of theory is ωB97M-V/def2-TZVPD.